Apex High School

(Data records, kept here for reference)
=====
[1]
Starting from a crystal structure in Alexandria, relaxed with PBE, the powder X-ray diffraction pattern of Na5B7C3 was computed for Cu Kα (weighted mean of Kα1 and Kα2).

Peak list (6 most intense, 2θ = 10–90°, by angle)
2θ (°)	intensity
36.42	32
40.87	96
41.96	76
42.19	100
42.25	98
76.83	26

Cell and atoms:
a b c (Å): 4.9347 7.6280 9.0609
angles (deg): 76.78 74.61 73.82
Fractional positions:
Na  0.0000  0.0000  0.0000
Na  0.0000  0.5000  0.5000
Na  0.1943  0.1008  0.5021
Na  0.2029  0.6007  0.9983
Na  0.3945  0.2022  0.9987
Na  0.4024  0.6999  0.5035
Na  0.5976  0.3001  0.4965
Na  0.6055  0.7978  0.0013
Na  0.7971  0.3993  0.0017
Na  0.8057  0.8992  0.4979
B  0.0305  0.8433  0.7515
B  0.1805  0.7360  0.2512
B  0.2377  0.4513  0.7494
B  0.2386  0.9633  0.2496
B  0.3438  0.3601  0.2496
B  0.3918  0.8436  0.7511
B  0.3974  0.0757  0.7492
B  0.6026  0.9243  0.2508
B  0.6082  0.1564  0.2489
B  0.6562  0.6399  0.7504
B  0.7614  0.0367  0.7504
B  0.7623  0.5487  0.2506
B  0.8195  0.2640  0.7488
B  0.9695  0.1567  0.2485
C  0.0127  0.3625  0.2489
C  0.1552  0.2561  0.7483
C  0.4278  0.5521  0.2512
C  0.5722  0.4479  0.7488
C  0.8448  0.7439  0.2517
C  0.9873  0.6375  0.7511


[2]
Starting from a crystal structure in Alexandria, relaxed with PBE, the powder X-ray diffraction pattern of Tb12PmSc7 was computed for Cu Kα (weighted mean of Kα1 and Kα2).

Peak list (6 most intense, 2θ = 10–90°, by angle)
2θ (°)	intensity
26.14	32
26.93	38
30.25	72
32.08	100
32.30	44
35.97	47

Cell and atoms:
a b c (Å): 9.0613 9.0613 9.0613
angles (deg): 108.04 108.04 108.04
Fractional positions:
Tb  0.0265  0.6924  0.1335
Tb  0.1335  0.0265  0.6924
Tb  0.1628  0.4347  0.6409
Tb  0.3076  0.8665  0.9735
Tb  0.3591  0.8372  0.5653
Tb  0.4347  0.6409  0.1628
Tb  0.5653  0.3591  0.8372
Tb  0.6409  0.1628  0.4347
Tb  0.6924  0.1335  0.0265
Tb  0.8372  0.5653  0.3591
Tb  0.8665  0.9735  0.3076
Tb  0.9735  0.3076  0.8665
Pm  0.5000  0.5000  0.5000
Sc  0.0000  0.0000  0.0000
Sc  0.1084  0.3872  0.2593
Sc  0.2593  0.1084  0.3872
Sc  0.3872  0.2593  0.1084
Sc  0.6128  0.7407  0.8916
Sc  0.7407  0.8916  0.6128
Sc  0.8916  0.6128  0.7407


[3]
Starting from a crystal structure in Alexandria, relaxed with PBE, the powder X-ray diffraction pattern of BaSrGe3 was computed for Cu Kα (weighted mean of Kα1 and Kα2).

Peak list (6 most intense, 2θ = 10–90°, by angle)
2θ (°)	intensity
28.97	51
29.28	100
36.59	32
38.68	38
42.12	22
54.29	28

Cell and atoms:
a b c (Å): 14.0734 14.0734 4.2902
angles (deg): 90.00 90.00 159.90
Fractional positions:
Ba  0.0743  0.9257  0.7500
Ba  0.9257  0.0743  0.2500
Sr  0.2024  0.7976  0.2500
Sr  0.7976  0.2024  0.7500
Ge  0.3214  0.6786  0.2500
Ge  0.3766  0.6234  0.7500
Ge  0.4746  0.5254  0.7500
Ge  0.5254  0.4746  0.2500
Ge  0.6234  0.3766  0.2500
Ge  0.6786  0.3214  0.7500


[4]
Starting from a crystal structure in Alexandria, relaxed with PBE, the powder X-ray diffraction pattern of Tm2Al4Pd3Pt was computed for Cu Kα (weighted mean of Kα1 and Kα2).
=====
  • Apex High School provides a supportive environment for students to excel in academics, arts, and athletics. Our students participate in 39 varsity and junior varsity sports, 50 leadership and service-oriented clubs, and a full range of course offerings including Honors, Advanced Placement, and CTE Completers. The Academy of Information Technology (AOIT), an award-winning National Academy Foundation program, provides students with opportunities to study computer science, programming, database administration, web design, and other areas in the expanding digital workplace. We are proud to be Cougars and look forward to sharing more about our school community!
    • By 2026, Apex High School will annually graduate at least 95% of its students in each subgroup ready for productive citizenship as well as higher education or a career.

    As a community, Apex High School empowers ALL students to reach their PEAK potential by enabling them to be Prepared, Engaged, Ambitious, and Kind.

<<<
No. 1
The following is a computed powder diffraction line list of LiNi3N. It was derived from DFT lattice parameters and positions (PBE), using Cu Ka.

Main lines, sorted by position (2θ = 10–90°):
index, two_theta, Rel. int.
1 0 0, 23.81, 55
1 1 0, 33.92, 17
1 1 1, 41.86, 100
2 0 0, 48.73, 60
2 1 0, 54.93, 18
2 1 1, 60.69, 6
2 2 0, 71.38, 34
3 0 0, 76.46, 8
3 1 0, 81.43, 3
3 1 1, 86.33, 33

Atomic structure:
```
data_LiNi3N
_space_group_name_H-M_alt 'P m -3 m'
_space_group_IT_number 221
_space_group_name_Hall '-P 4 2 3'
_cell_length_a 3.7375
_cell_length_b 3.7375
_cell_length_c 3.7375
_cell_angle_alpha 90.00
_cell_angle_beta 90.00
_cell_angle_gamma 90.00
loop_
_atom_site_label
_atom_site_fract_x
_atom_site_fract_y
_atom_site_fract_z
_atom_site_occupancy
Li1 0.0000 0.0000 0.0000 1
Ni1 0.0000 0.5000 0.5000 1
N1 0.5000 0.5000 0.5000 1
```



No. 2
The following is a computed powder diffraction line list of CaSbPd4. It was derived from DFT lattice parameters and positions (PBE), using Cu Ka.

Main lines, sorted by position (2θ = 10–90°):
index, two_theta, Rel. int.
0 0 1, 12.35, 33
1 0 1, 16.79, 23
2 1 1, 33.92, 56
1 1 2, 35.03, 14
0 0 3, 37.66, 18
1 0 3, 39.46, 12
2 1 2, 40.50, 100
3 1 1, 42.91, 26
0 2 0, 43.63, 30
4 0 0, 46.51, 16
4 2 0, 65.67, 11
2 3 2, 78.01, 17

Atomic structure:
```
data_CaSbPd4
_space_group_name_H-M_alt 'P m m a'
_space_group_IT_number 51
_space_group_name_Hall '-P 2a 2a'
_cell_length_a 7.8105
_cell_length_b 4.1488
_cell_length_c 7.1648
_cell_angle_alpha 90.00
_cell_angle_beta 90.00
_cell_angle_gamma 90.00
loop_
_atom_site_label
_atom_site_fract_x
_atom_site_fract_y
_atom_site_fract_z
_atom_site_occupancy
Ca1 0.2500 0.0000 0.1644 1
Sb1 0.2500 0.0000 0.7377 1
Pd1 0.0000 0.0000 0.5000 1
Pd2 0.0428 0.5000 0.8015 1
Pd3 0.2500 0.5000 0.4561 1
```



No. 3
The following is a computed powder diffraction line list of Ac2PaSi3O12. It was derived from DFT lattice parameters and positions (PBE), using Cu Ka.

Main lines, sorted by position (2θ = 10–90°):
index, two_theta, Rel. int.
0 0 3, 17.00, 25
0 1 2, 18.97, 39
1 1 0, 26.44, 100
1 1 3, 31.61, 84
0 1 5, 32.46, 65
2 0 5, 42.35, 42
1 2 2, 42.57, 20
3 0 0, 46.68, 21
0 3 3, 50.03, 26
1 2 5, 50.62, 39
2 2 0, 54.45, 30
3 1 5, 64.84, 22

Atomic structure:
```
data_Ac2PaSi3O12
_space_group_name_H-M_alt 'R -3 m'
_space_group_IT_number 166
_space_group_name_Hall '-R 3 2"'
_cell_length_a 6.7409
_cell_length_b 6.7409
_cell_length_c 15.6452
_cell_angle_alpha 90.00
_cell_angle_beta 90.00
_cell_angle_gamma 120.00
loop_
_atom_site_label
_atom_site_fract_x
_atom_site_fract_y
_atom_site_fract_z
_atom_site_occupancy
Ac1 0.0000 0.0000 0.1112 1
Pa1 0.0000 0.0000 0.5000 1
Si1 0.0000 0.5000 0.0000 1
O1 0.0377 0.5189 0.8863 1
O2 0.0775 0.5388 0.3144 1
```



No. 4
The following is a computed powder diffraction line list of Tl3ZnCu2F9. It was derived from DFT lattice parameters and positions (PBE), using Cu Ka.

Main lines, sorted by position (2θ = 10–90°):
index, two_theta, Rel. int.
1 0 1, 21.30, 22
>>>
    • We will create a school community that is respectful, inclusive, and supportive
    • We will engage all our students in rigorous, meaningful learning every day.
    • We will partner with the local and global communities to provide our students with relevant experiences so they can lead productive lives in a complex, dynamic world.
    Wake County Public School System will provide a relevant and engaging education and will graduate students who are collaborative, creative, effective communicators and critical thinkers.
    Core Beliefs...
    • Every student is uniquely capable and deserves to be challenged and engaged in relevant, rigorous, and meaningful learning each day.
    • Every student is expected to learn, grow, and succeed while we will eliminate the ability to predict achievement based on socioeconomic status, race, and ethnicity.
/*
Record 1
Starting from a DFT-relaxed cell (PBE, Alexandria), the PXRD pattern of Cr4W was computed for copper Kα.
Intensities are scaled so that the largest is 100.

Crystal structure
```
data_Cr4W
_space_group_name_H-M_alt 'I 4/m'
_space_group_IT_number 87
_space_group_name_Hall '-I 4'
_cell_length_a 6.548
_cell_length_b 6.548
_cell_length_c 2.939
_cell_angle_alpha 90.00
_cell_angle_beta 90.00
_cell_angle_gamma 90.00
loop_
_atom_site_label
_atom_site_type_symbol
_atom_site_fract_x
_atom_site_fract_y
_atom_site_fract_z
_atom_site_occupancy
Cr1 Cr 0.100 0.307 0.000 1
W1 W 0.000 0.000 0.500 1
```

Peak list (10 most intense, 2θ = 10–90°, in order of falling intensity)
- 2θ = 43.7°, intensity 100, hkl 2 1 1
- 2θ = 19.2°, intensity 22, hkl 1 1 0
- 2θ = 80.3°, intensity 19, hkl 5 0 1
- 2θ = 33.4°, intensity 14, hkl 1 0 1
- 2θ = 27.2°, intensity 12, hkl 2 0 0
- 2θ = 80.1°, intensity 11, hkl 1 3 2
- 2θ = 63.5°, intensity 10, hkl 4 2 0
- 2θ = 59.9°, intensity 7, hkl 2 3 1
- 2θ = 63.3°, intensity 5, hkl 0 0 2
- 2θ = 38.9°, intensity 5, hkl 2 2 0

=====

Record 2
Starting from a DFT-relaxed cell (PBE, Alexandria), the PXRD pattern of Cr3W was computed for copper Kα.
Intensities are scaled so that the largest is 100.

Crystal structure
```
data_Cr3W
_space_group_name_H-M_alt 'P 4/m m m'
_space_group_IT_number 123
_space_group_name_Hall '-P 4 2'
_cell_length_a 4.176
_cell_length_b 4.176
_cell_length_c 2.972
_cell_angle_alpha 90.00
_cell_angle_beta 90.00
_cell_angle_gamma 90.00
loop_
_atom_site_label
_atom_site_type_symbol
_atom_site_fract_x
_atom_site_fract_y
_atom_site_fract_z
_atom_site_occupancy
Cr1 Cr 0.000 0.000 0.000 1
Cr2 Cr 0.000 0.500 0.500 1
W1 W 0.500 0.500 0.000 1
```

Peak list (10 most intense, 2θ = 10–90°, in order of falling intensity)
- 2θ = 43.2°, intensity 100, hkl 1 1 1
- 2θ = 43.3°, intensity 49, hkl 2 0 0
- 2θ = 21.3°, intensity 42, hkl 1 0 0
- 2θ = 79.4°, intensity 31, hkl 3 1 1
- 2θ = 37.1°, intensity 22, hkl 1 0 1
- 2θ = 30.3°, intensity 18, hkl 1 1 0
- 2θ = 79.1°, intensity 16, hkl 2 0 2
- 2θ = 62.9°, intensity 15, hkl 2 2 0
- 2θ = 58.4°, intensity 13, hkl 2 1 1
- 2θ = 48.8°, intensity 10, hkl 2 1 0

=====

Record 3
Starting from a DFT-relaxed cell (PBE, Alexandria), the PXRD pattern of CrW7 was computed for copper Kα.
Intensities are scaled so that the largest is 100.

Crystal structure
```
data_CrW7
_space_group_name_H-M_alt 'R -3 m'
_space_group_IT_number 166
_space_group_name_Hall '-R 3 2"'
_cell_length_a 8.9133
_cell_length_b 8.9133
_cell_length_c 10.9526
_cell_angle_alpha 90.00
_cell_angle_beta 90.00
_cell_angle_gamma 120.00
loop_
_atom_site_label
_atom_site_type_symbol
_atom_site_fract_x
_atom_site_fract_y
_atom_site_fract_z
_atom_site_occupancy
Cr1 Cr 0.0000 0.0000 0.1246 1
W1 W 0.0000 0.0000 0.3730 1
W2 W 0.0028 0.5014 0.8744 1
W3 W 0.0035 0.5018 0.6245 1
```

Peak list (10 most intense, 2θ = 10–90°, in order of falling intensity)
- 2θ = 40.4°, intensity 100, hkl 2 2 0
- 2θ = 73.6°, intensity 26, hkl 6 0 0
*/
    • Well-supported, highly effective, and dedicated principals, teachers, and staff are essential to success for all students.
    • The Board of Education, superintendent, and all staff, while sustaining best practices, will promote and support a culture of continuous improvement, risk-taking, and innovation that results in a high-performing organization focused on student achievement.
    • The Board of Education, superintendent, and all staff value a diverse school community that is inviting, respectful, inclusive, flexible, and supportive.
    • The Wake County residents value a strong public school system and will partner to provide the support and resources to fully realize our shared vision, accomplish the mission, and sustain our core beliefs.
Last Modified on July 3, 2024